Source code for specter.util.traceset


Handle sets of Legendre coefficients

from __future__ import absolute_import, division, print_function, unicode_literals

import sys
import os
import numpy as np
from numpy.polynomial.legendre import legfit
import numbers
from specter.util import legval_numba

class TraceSet(object):
    def __init__(self, coeff, domain=[-1,1]):
        coeff[nspec, deg+1]
        map dependent variable within domain to [-1,1]
        self._coeff = coeff.copy()
        self._xmin = domain[0]
        self._xmax = domain[1]

    def ntrace(self):
        return self._coeff.shape[0]

    def _xnorm(self, x):
        #return 2.0 * (x - self._xmin) / (self._xmax - self._xmin) - 1.0
        #implement oleksandr-pavlyk's fix from the memory branch
        return (x - self._xmin) * (2.0 / (self._xmax - self._xmin)) - 1.0

    def eval(self, ispec, x):
        # TODO: this function could be a little more robust/elegant
        xx = np.array(self._xnorm(x))
        #wavelength input may be a scalar
        scalar_input = np.isscalar(x)
        #ispec input may be in the form (min, max)
        tuple_input = False
        if type(ispec) is tuple:
            tuple_input = True
            spec_min, spec_max = ispec
            #in this case ispec is coming from the cached branch of xypix, which means
            #that we need to use nspec instead of ispec due to re-indexing
            nspec = spec_max - spec_min
            nwave = len(x)

        #numba requires f8 or smaller
        if tuple_input is False:
            cc_numba = self._coeff[ispec].astype(np.float64, copy=False)
            cc_numba = self._coeff[spec_min:spec_max].astype(np.float64, copy=False)

Calculated molecules that have nothing to do with the text:
┌──
{
  "formula": "C30H30Cl2F3N6O3PtSSeSi",
  "method": "wB97M-V/def2-TZVPD",
  "fmax_ev_per_a": 1.86,
  "orbital_gap_ev": [4.96, 4.96],
  "total_charge": -1,
  "de_lowest_kj_mol": 496.71,
  "molar_mass_da": 984.70,
  "e_tot_ev": -167181.271,
  "elements": ["Pt", "C", "C", "C", "C", "C", "N", "C", "C", "C", "C", "C", "C", "C", "N", "C", "C", "C", "N", "C", "C", "N", "C", "C", "C", "N", "H", "H", "H", "H", "H", "H", "H", "H", "H", "H", "H", "H", "H", "H", "H", "H", "H", "H", "F", "C", "F", "F", "S", "O", "O", "O", "Cl", "C", "C", "C", "C", "C", "Cl", "C", "N", "H", "H", "H", "C", "Si", "C", "C", "Se", "H", "H", "H", "H", "H", "H", "H", "H", "H"],
└──

        #use numba version of legval if possible
        if isinstance(ispec, numbers.Integral):
            results = legval_numba(xx, cc_numba)
            if scalar_input:
                return results[0]
                return results
        #handle tuple case from _xypix cached branch
        elif tuple_input:
            #compute and store the values
            y=np.zeros([nspec, nwave])
            for i in range(nspec):
                y[i,:]=legval_numba(xx, cc_numba[i])
            return y

            #ispec may sometimes be None
            if ispec is None:
                ispec = list(range(self._coeff.shape[0]))

            #use numba version of legval if possible
            for i in ispec:
                cc_i = self._coeff[i].astype(np.float64, copy=False)
                if scalar_input:
                    y.append(legval_numba(xx, cc_i)[0])
                    y.append(legval_numba(xx, cc_i))

            return np.array(y)

    # def __call__(self, ispec, x):
    #     return self.eval(ispec, x)

    def invert(self, domain=None, deg=None):
        Return a traceset modeling x vs. y instead of y vs. x
        ytmp = self.eval(None, np.array([self._xmin, self._xmax]))
        ymin = np.min(ytmp)
        ymax = np.max(ytmp)
        x = np.linspace(self._xmin, self._xmax, 1000)
        if deg is None:
            deg = self._coeff.shape[1]+2

        c = np.zeros((self.ntrace, deg+1))
        for i in range(self.ntrace):
            y = self.eval(i, x)
            #yy = 2.0 * (y-ymin) / (ymax-ymin) - 1.0
            #implement oleksandr-pavlyk's fix from the memory branch
            yy = (y-ymin) * (2.0 / (ymax-ymin)) - 1.0
            c[i] = legfit(yy, x, deg)

        return TraceSet(c, domain=(ymin, ymax))

[docs]def fit_traces(x, yy, deg=5, domain=None): """ returns TraceSet object modeling y[i] vs. x Args: x : 1D array y : 2D array[nspec, nx] deg : optional Legendre degree """ nspec, nx = yy.shape assert len(x) == nx, "y.shape[1] ({}) != len(x) ({})".format(nx, len(x)) assert np.all(np.diff(x) > 0), "x not monotonically increasing" if domain is None: xmin, xmax = x[0], x[-1] else: xmin, xmax = domain c = np.zeros((nspec, deg+1)) #implement oleksandr-pavlyk's fix from the memory branch xx = x - xmin xx *= 2.0/(xmax-xmin) xx -= 1.0 for i in range(nspec): #xx = 2.0 * (x-xmin) / (xmax-xmin) - 1.0 c[i] = legfit(xx, yy[i], deg) return TraceSet(c, [xmin, xmax])